
Thursday, December 1, 2011

What's in a Question?

So I've been pondering yesterday's blog, or rather the stories of Luke, chapter 1.  More specifically, I've been curious about Gabriel's different responses to Zechariah & Mary.  Why did Gabriel take the voice of Zech when he treated Mary with compassion and further details?  What made one of them 'punishable', and the other not?

So I pulled out my Study Bible and a commentary, pulled up and went to it.  Amazing what discoveries can be made.

Misplaced crystal structures
'''
No. 1
This record from the Alexandria database describes crystalline BaSr7Fe8O24 at its relaxed geometry. The functional is PBEsol.

Unit cell a=7.603 b=7.603 c=7.603 alpha=90.00 beta=90.00 gamma=90.00
Sites, in units of the cell vectors:
Ba: 0.000 0.000 0.000
Sr: 0.000 0.000 0.500
Sr: 0.000 0.500 0.000
Sr: 0.000 0.500 0.500
Sr: 0.500 0.000 0.000
Sr: 0.500 0.000 0.500
Sr: 0.500 0.500 0.000
Sr: 0.500 0.500 0.500
Fe: 0.251 0.251 0.251
Fe: 0.251 0.251 0.749
Fe: 0.251 0.749 0.251
Fe: 0.251 0.749 0.749
Fe: 0.749 0.251 0.251
Fe: 0.749 0.251 0.749
Fe: 0.749 0.749 0.251
Fe: 0.749 0.749 0.749
O: 0.000 0.254 0.254
O: 0.000 0.254 0.746
O: 0.000 0.746 0.254
O: 0.000 0.746 0.746
O: 0.251 0.251 0.500
O: 0.251 0.500 0.251
O: 0.251 0.500 0.749
O: 0.251 0.749 0.500
O: 0.254 0.000 0.254
O: 0.254 0.000 0.746
O: 0.254 0.254 0.000
O: 0.254 0.746 0.000
O: 0.500 0.251 0.251
O: 0.500 0.251 0.749
O: 0.500 0.749 0.251
O: 0.500 0.749 0.749
O: 0.746 0.000 0.254
O: 0.746 0.000 0.746
O: 0.746 0.254 0.000
O: 0.746 0.746 0.000
O: 0.749 0.251 0.500
O: 0.749 0.500 0.251
O: 0.749 0.500 0.749
O: 0.749 0.749 0.500

Results
DOS(E_F)	0.225	states/eV per atom
formation energy without anion corrections	-2.036	eV per atom

No. 2
This record from the Alexandria database describes crystalline LaZnBr2 at its relaxed geometry. The functional is PBEsol.

Unit cell a=5.491 b=5.491 c=5.491 alpha=133.71 beta=124.06 gamma=75.46
Sites, in units of the cell vectors:
La: 0.000 0.000 0.000
Zn: 0.500 0.500 0.000
Br: 0.271 0.771 0.500
Br: 0.729 0.229 0.500

Results
DOS(E_F)	0.455	states/eV per atom
formation energy without anion corrections	-1.027	eV per atom
polymorph energy (0 for the lowest one)	0	meV per atom

No. 3
This record from the Alexandria database describes crystalline KMg3S at its relaxed geometry. The functional is PBEsol.

Unit cell a=5.224 b=5.224 c=5.224 alpha=90.00 beta=90.00 gamma=90.00
Sites, in units of the cell vectors:
K: 0.000 0.000 0.000
Mg: 0.000 0.500 0.500
Mg: 0.500 0.000 0.500
Mg: 0.500 0.500 0.000
S: 0.500 0.500 0.500

Results
DOS(E_F)	0.606	states/eV per atom
formation energy without anion corrections	-0.017	eV per atom

No. 4
This record from the Alexandria database describes crystalline LaTaSbI2 at its relaxed geometry. The functional is PBEsol.

Unit cell a=5.369 b=5.369 c=5.414 alpha=90.00 beta=90.00 gamma=90.00
Sites, in units of the cell vectors:
La: 0.000 0.000 0.000
Ta: 0.500 0.500 0.500
Sb: 0.500 0.500 0.000
I: 0.000 0.500 0.500
I: 0.500 0.000 0.500

Results
DOS(E_F)	1.091	states/eV per atom
formation energy without anion corrections	0.072	eV per atom
'''

One of the first things that I was struck by is the timing of Gabriel's appearance to Zechariah.  This was not just an ordinary thing that Zech was doing on this day.  As a priest, Zechariah served at the temple for two one-week periods a year.  He was a member of one of twenty-four divisions in the priesthood of the first century, one of approximately 18,000 priests.  A priest only got to assist in the daily offering by going into the holy place ONCE IN HIS LIFE!   And he got that honor by being chosen by lot- meaning, they 'drew straws' sort of.  So it is that kind of moment that you train for all your life, but it only lasts for a little while.  And as is often the case, you don't know actually when it will happen.

His job was to offer incense which is a picture of intercession rising to God.   At the moment he places the incense on the alter, Gabriel appears.  How appropriate to pick a moment of worship and a time when people recognized their need for cleansing  from sin to announce this child, who would grow up to be the 'announcer' of the ONE who would take sin away from the world.

Gabriel tells Zechariah quite a bit about his son. 
The first thing was his name- John. Can you imagine being named by God? That must mean something special.

He will be a source of joy and delight for Zechariahand Elizabeth.  He will be great before GodHe will live a very strict, disciplined life.  I suppose that meant that Zechariah would need to pay close attention to that in raising his son also.   More importantly, the child will be 'empowered by the Spirit even from birth'.  Hmmm!  Too many times today parents refer to their kids as 'little devils'. What would it be like to have a child empowered by the Spirit from the time they were born?

Gabriel says that the child will be a prophet.  That he will call people to repent.  
    "He will turn Israel back to the Lord" 
    "He will turn the hearts of parent to their children"
John will be part of redirecting those who listen to his message to walk with God. He's making people ready for the Lord.

That' when we come to the question.  After being told all of this, even though he was a priest experiencing the ONCE IN A LIFETIME event, he doesn't just accept that a miracle of having a child will occur.  In his humanness, he sees a very natural objection.  He's old!  His wife is old!  He knew how it worked and it wasn't working anymore.

But this was Gabriel talking- not his neighbor down the road.  God sent Gabriel here at this moment, at this place, to give this message.  Zech had to know that given where he was and what he was doing.  Wouldn't the fear that Zech had when he first saw Gabriel keep him of 'second guessing' Gab's words now.

It seems not!  How many times is that true of me too?  Or of you?  Something extraordinary takes place and we receive  a wonderful word that must be from God and what do we do?  We step back and say 'well wait a minute, I'm not sure we can really do that- it's not the way things work.' But it was working that way.  God was speaking through Gabriel directly to him.

Zech needed to learn a lesson I need to learn as well.  God does His things in His time in His way.  If he says He will do it- it's done.  Simple as that!  It may not look like we think it will, or it should but HE WILL DO IT.

So here are my questions for this Advent Season.
What is He saying to you during this Advent Season?  
Are you listening?  
Are you even aware that He is talking to you?  
It may not be through Gabriel, but He is there using something in your life to speak what He wants to do in you.

When Zechariah didn't believe the angels words, he was actually doubting God.  That was why Gabriel responded by taking away Zech's voice.
What's your response?  
Are you believing what God is saying, or are you making excuses for how it won't work.  
Remember, this is God at work!  

Hmmm!  Much to ponder.
So how does this compare to Mary's response?
Well, I think I'll leave that for tomorrow!
See you then!

1 comment:

  1. So true...God does not give us a spirit of timidity, but often I/we are afraid to step out if faith even when we KNOW it's God's will so we will be safe with Him the whole time. How we respond says so much...
    Thanks Kathy!
